Yea, who knows how long those will work before the trump sells out every single secret or sides with his “powerful dictator” buddies.
Yea, who knows how long those will work before the trump sells out every single secret or sides with his “powerful dictator” buddies.
What comes next are crystal structures, not part of the article =
<<<
First-principles (GGA-PBE) data for a relaxed Na4Bi2O5 crystal, as listed in the Materials Project database.

Calculated values
distance to the lowest polymorph of the same formula: 0.076 eV per atom
formation energy from the elements: -17.94 eV per formula unit
E_tot: -4.76 eV per atom
SG: Pnna, No. 52

a = 14.800 Å, b = 5.659 Å, c = 9.865 Å
α = 90.00°, β = 90.00°, γ = 90.00°
Sites, in units of the cell vectors:
Na 0.024 0.018 0.143
Na 0.024 0.482 0.357
Na 0.194 0.250 0.250
Na 0.250 0.000 0.922
Na 0.250 0.500 0.578
Na 0.306 0.750 0.250
Na 0.476 0.518 0.357
Na 0.476 0.982 0.143
Na 0.524 0.018 0.857
Na 0.524 0.482 0.643
Na 0.694 0.250 0.750
Na 0.750 0.000 0.078
Na 0.750 0.500 0.422
Na 0.806 0.750 0.750
Na 0.976 0.518 0.643
Na 0.976 0.982 0.857
Bi 0.117 0.530 0.955
Bi 0.117 0.970 0.545
Bi 0.383 0.030 0.545
Bi 0.383 0.470 0.955
Bi 0.617 0.530 0.045
Bi 0.617 0.970 0.455
Bi 0.883 0.030 0.455
Bi 0.883 0.470 0.045
O 0.046 0.053 0.368
O 0.046 0.447 0.132
O 0.112 0.602 0.535
O 0.112 0.898 0.965
O 0.250 0.000 0.426
O 0.250 0.500 0.074
O 0.388 0.102 0.965
O 0.388 0.398 0.535
O 0.454 0.553 0.132
O 0.454 0.947 0.368
O 0.546 0.053 0.632
O 0.546 0.447 0.868
O 0.612 0.602 0.465
O 0.612 0.898 0.035
O 0.750 0.000 0.574
O 0.750 0.500 0.926
O 0.888 0.102 0.035
O 0.888 0.398 0.465
O 0.954 0.553 0.868
O 0.954 0.947 0.632

---

First-principles (GGA-PBE) data for a relaxed Na8BiO3 crystal, as listed in the Materials Project database.

Calculated values
formation energy from the elements: -10.69 eV per formula unit
E_tot: -3.16 eV per atom
SG: Pm-3m, No. 221

a = 6.188 Å, b = 6.188 Å, c = 6.188 Å
α = 90.00°, β = 90.00°, γ = 90.00°
Sites, in units of the cell vectors:
Na 0.228 0.228 0.228
Na 0.228 0.228 0.772
Na 0.228 0.772 0.228
Na 0.228 0.772 0.772
Na 0.772 0.228 0.228
Na 0.772 0.228 0.772
Na 0.772 0.772 0.228
Na 0.772 0.772 0.772
Bi 0.500 0.500 0.500
O 0.000 0.000 0.500
O 0.000 0.500 0.000
O 0.500 0.000 0.000

---

First-principles (GGA-PBE) data for a relaxed Na2BiO3 crystal, as listed in the Materials Project database.

Calculated values
formation energy from the elements: -10.37 eV per formula unit
E_tot: -4.95 eV per atom
SG: C2/c, No. 15

a = 5.879 Å, b = 5.879 Å, c = 5.881 Å
α = 100.87°, β = 100.87°, γ = 117.92°
Sites, in units of the cell vectors:
Na 0.082 0.918 0.750
Na 0.245 0.755 0.250
Na 0.755 0.245 0.750
Na 0.918 0.082 0.250
Bi 0.409 0.591 0.750
Bi 0.591 0.409 0.250
O 0.000 0.500 0.500
O 0.219 0.355 0.998
O 0.355 0.219 0.498
O 0.500 0.000 0.000
O 0.645 0.781 0.502
O 0.781 0.645 0.002

----------

Below is a relaxed Sc2Pt crystal, with properties calculated at the meta-GGA r2SCAN level.

Lattice parameters (Å, degrees): 6.609 4.493 8.247 90.00 90.00 90.00
Positions (direct):
Sc 0.013 0.250 0.173
Sc 0.148 0.250 0.576
Sc 0.352 0.750 0.076
Sc 0.487 0.750 0.673
Sc 0.513 0.250 0.327
Sc 0.648 0.250 0.924
Sc 0.852 0.750 0.424
Sc 0.987 0.750 0.827
Pt 0.241 0.250 0.902
Pt 0.259 0.750 0.402
Pt 0.741 0.250 0.598
Pt 0.759 0.750 0.098

Results
>>>
Who would have known that the USians would fall for russian-style fascism after the soviets fell for US-style crapitalism :/
Moscow-first europeans 🤮
I guess putin is going to find out now if European democracy was just a little american experiment that will collapse at the americans’ whims or if it has a will of its own…
The frama suite is good too, e.g. https://framapad.org/abc/en/
Wtf…pdfs allow js to execute? Who thought that was a good idea? How about it runs flash too while we’re at it?
Maybe Europe and the media are looking away so they don’t get accused of meddling…but their enemies will accuse them of it anyway…so…help them out anyway?
WTF spain, keep the idiots away from the art
That sounds like a dutch joke.
ok, ok, got it, I’ll sign it, then.
If buying is not owning…
I agree, every country neighbouring Hungary can reestablish the border controls and keep russian “tourists” or chinese “policemen” out if they want too, this isn’t hard.
There was an article I can’t find from a year or so ago where a few libertarians were arguing that Bexit instead of giving them more freedom, took away from it, because they realized that the EU tended to limited the power of national governments to go on populist rampages on the left or the right, because the EU institutions average and balance between interests. I think they are right and if the EU were to turns…uh…fascist…by then the well would already be poisoned in most countries anyway.
They need some form of reciprocity: if you restrict these and these laws, we will restrict this and this influence in the block until you go back. e.g. you end independent media? We block you from owning any media in EU. You open the doors to visa-free russian citizens, lose access to Schengen. You take giant loans from China? Lose access to cohesion funds. You jerrymander your elections to the extreme? No votes in EU parliament/council for you…but proportional and reversible to provide an incentive to go back to normal at least a bit…obviously IANAL
PS: I mean, look at Ukraine: “you block our military aid? We block your gas.”
Between two parts of the entry: crystal structures:
-- begin --
The following is a DFT calculation (PBE) of NaNbO2F2 after structural relaxation.

a = 8.2034 Å, b = 5.4968 Å, c = 7.7531 Å
α = 90.00°, β = 102.30°, γ = 90.00°
With the nearest neighbours (Å) after each atom.
Fractional positions:
Na1 0.1331 0.2225 0.3807  4 F 2.29-2.40
Na2 0.1331 0.2775 0.8807  4 F 2.29-2.40
Na3 0.8669 0.7225 0.1193  4 F 2.29-2.40
Na4 0.8669 0.7775 0.6193  4 F 2.29-2.40
Nb1 0.3450 0.7339 0.1800  3 O 1.84-1.96, 1 F 2.05
Nb2 0.3450 0.7661 0.6800  3 O 1.84-1.96, 1 F 2.05
Nb3 0.6550 0.2339 0.3200  3 O 1.84-1.96, 1 F 2.05
Nb4 0.6550 0.2661 0.8200  3 O 1.84-1.96, 1 F 2.05
O1 0.3225 0.6538 0.9457  1 Nb 1.84
O2 0.3225 0.8462 0.4457  1 Nb 1.84
O3 0.4639 0.0555 0.7897  2 Nb 1.92-1.96
O4 0.4639 0.4445 0.2897  2 Nb 1.92-1.96
O5 0.5361 0.5555 0.7103  2 Nb 1.92-1.96
O6 0.5361 0.9445 0.2103  2 Nb 1.92-1.96
O7 0.6775 0.1538 0.5543  1 Nb 1.84
O8 0.6775 0.3462 0.0543  1 Nb 1.84
F1 0.1262 0.5477 0.1879  1 Nb 2.08, 2 Na 2.29-2.32
F2 0.1262 0.9523 0.6879  1 Nb 2.08, 2 Na 2.29-2.32
-- stop --
…linux cars? Pretty please?
funny how the far right hates commies, but takes CCP money readily. It’s poetically ironic, really.
- - -
# Li2Mn7F16 | the Materials Project | PBE with a Hubbard U | relaxed
# E, eV for the cell shown: -457.5
# M_tot, μB per formula unit: 35.0
# ΔH_f (0 K), eV per atom: -2.9190
# Energy with MP2020 corrections, eV/cell: -514.68
data_Li2Mn7F16
_space_group_name_H-M_alt 'R -3'
_space_group_IT_number 148
_space_group_name_Hall '-R 3'
_cell_length_a 6.5177
_cell_length_b 6.5177
_cell_length_c 26.4541
_cell_angle_alpha 90.00
_cell_angle_beta 90.00
_cell_angle_gamma 120.00
loop_
_atom_site_label
_atom_site_fract_x
_atom_site_fract_y
_atom_site_fract_z
Li1 0.0000 0.0000 0.1660
Mn1 0.0000 0.0000 0.5000
Mn2 0.0012 0.3677 0.3881
F1 0.0000 0.0000 0.0836
F2 0.0000 0.0000 0.2626
F3 0.0214 0.3855 0.1309
F4 0.0224 0.2908 0.6368

# Li3MnF5 | the Materials Project | PBE with a Hubbard U | relaxed
# E, eV for the cell shown: -189.8
# Energy above the lowest structure with this stoichiometry, eV/atom: 0.054
# M_tot, μB per formula unit: 5.0
# ΔH_f (0 K), eV per atom: -2.9975
# Energy with MP2020 corrections, eV/cell: -205.76
data_Li3MnF5
_space_group_name_H-M_alt 'P 41'
_space_group_IT_number 76
_cell_length_a 5.7884
_cell_length_b 5.7884
_cell_length_c 11.2477
_cell_angle_alpha 90.00
_cell_angle_beta 90.00
_cell_angle_gamma 90.00
loop_
_space_group_symop_operation_xyz
'x,y,z'
'-y,x,z+1/4'
'-x,-y,z+1/2'
'y,-x,z+3/4'
loop_
_atom_site_label
_atom_site_fract_x
_atom_site_fract_y
_atom_site_fract_z
Li1 0.0243 0.1665 0.0000
Li2 0.0829 0.3288 0.5261
Li3 0.2190 0.4434 0.2954
Mn1 0.2833 0.4874 0.8216
F1 0.0130 0.7677 0.8542
F2 0.0294 0.7511 0.3246
F3 0.1521 0.5795 0.6452
F4 0.2051 0.4910 0.0102
F5 0.3690 0.4422 0.4510

# LiMnF5 | the Materials Project | PBE with a Hubbard U | relaxed
# E, eV for the cell shown: -139.6
# Energy above the lowest structure with this stoichiometry, eV/atom: 0.078
# M_tot, μB per formula unit: 3.0
# Largest piezoelectric modulus, C/m2: 0.34
# ΔH_f (0 K), eV per atom: -2.6055
# Energy with MP2020 corrections, eV/cell: -155.53
data_LiMnF5
_space_group_name_H-M_alt 'P 41'
_space_group_IT_number 76
_cell_length_a 5.4730
_cell_length_b 5.4730
_cell_length_c 11.4921
_cell_angle_alpha 90.00
_cell_angle_beta 90.00
_cell_angle_gamma 90.00
loop_
_space_group_symop_operation_xyz
'x,y,z'
'-y,x,z+1/4'
'-x,-y,z+1/2'
'y,-x,z+3/4'
loop_
_atom_site_label
_atom_site_fract_x
_atom_site_fract_y
_atom_site_fract_z
Li1 0.0539 0.3154 0.0000
Mn1 0.1847 0.4807 0.2707
F1 0.0022 0.7287 0.3345
F2 0.0115 0.5160 0.1389
F3 0.0188 0.7695 0.8015
F4 0.2794 0.5837 0.9651
F5 0.2825 0.4299 0.4399

* * * * *

Run A
First-principles (GGA+U) data for an optimized crystal structure of Co5RuO8, as listed in the Materials Project database.

- calculated density (g cm⁻³) = 5.66

Lattice parameters (Å, degrees): 5.973 6.037 24.664 83.49 89.96 60.57
Positions (direct):
1 Co 0.000 0.000 0.000
2 Co 0.000 0.000 0.500
3 Co 0.089 0.820 0.227
4 Co 0.101 0.295 0.300
5 Co 0.113 0.769 0.373
6 Co 0.198 0.599 0.599
7 Co 0.201 0.098 0.100
8 Co 0.285 0.428 0.826
9 Co 0.299 0.902 0.900
- - -
Oh, I never noticed that, I thought they just did a transfer orbit, but yea, in all Jupiter orbiter missions so far they did all of these convoluted gravity assists. I see both Juno and Galileo did it (about 5y travel time).
Soros bad, CCP good 😜 This will keep on giving, keep an eye on vetos on EV tariffs and other trade deals.
So AfD is supported by China, russia and the US? Which major countries do we have left outside the EU to help fight fascist bullshit?